
Submission: Cannabis use in Victoria

Brendan Liveris / 30 August 2020

This is a submission to the Legislative Council of Victoria’s inquiry into the use of cannabis in Victoria. It was submitted on 30 August 2020.

About the Rationalist Society of Australia

The RSA is the oldest freethought group in Australia, promoting reason since 1906. Members and supporters hold that all significant beliefs and actions should be based on reason and evidence, that the natural world is the only world there is, and that answers to the key questions of human existence are to be found only in that natural world. 

We seek to stimulate freedom of thought, support a secular and ethical system of education, promote the fullest possible use of science for human welfare, and encourage interest in science, criticism and philosophy as connected factors in a progressive human culture. 

For the purposes of this submission, we surveyed our membership to understand their views on decriminalising and legalising cannabis for recreational use. Their responses, together with broader research, have been used to inform our submission to the committee. 

RSA Survey 

Overwhelmingly, the respondents to our survey supported the use of recreational marijuana. 

Of all respondents, 92% supported decriminalisation and 79% supported legalisation. About half of the remainder in either case were unsure, and the rest against. Many provided commentary supporting their feedback, with the following themes: 

Majority themes:

  • Marijuana use is a health issue, not a criminal issue, and should be handled accordingly
  • The ‘slippery slope’ argument has not been proved correct and marijuana is not a gateway to harder drug use
  • Criminalisation has failed and is an ongoing cost to the community:
    • There is no societal gain from the current position. 

Minority themes:

  • Consideration should be given to potential mental health impacts and reducing associated risks
  • Liberalisation with the right laws to protect public health and safety (i.e. road traffic, public use etc) should be supported.

Generally, qualitative comments indicated that the risks of both decriminalisation and legalisation were not unmanageable. The tone towards the current approach to marijuana management was that it is a rule followed in the most part just because it is there and not because it adds value. The more cautious voices did raise the issue of protecting public health:

  • Best way to reduce harm is to legalise, regulate, tax and educate.
  • Alcohol and nicotine are legal. Legalising cannabis can mean taxation and controls over the sale of distribution weakening the control of criminals. However laws applicable to safe driving and workplaces and testing regimes must remain in place. Also allows for better quality control.
  • In every jurisdiction that drug laws concerning cannabis have been rescinded the ‘sky has not fallen’. Every country in the world has within it a culture of taking intoxicants (mainly alcohol) and they are proud of that fact; Oktoberfest, champagne, kava… Cannabis culture is rife around the world and should be celebrated, if only because keeping it in the dark allows for what societies fear; an underworld. Prescription drugs kill hundreds of thousands every year while cannabis kills no-one. Lives are ruined by convictions, incarceration and the stigma of having a criminal record. For what? A victimless crime?
  • Cannabis use is no different to alcohol use & is already restricted in the workplace & whilst driving, so up to a point its use is already legislated for. But like alcohol, the commercial distribution should be tightly controlled & only registered outlets should be able to sell cannabis.


A further contextual element that shapes this submission is the history of cannabis legality. Undoubtedly, the Committee will be well aware of this history. However, we see it important to point out:

  •  Cannabis use was common in Australia and across the world in the 19th century
  • There was no cannabinoid crisis or war – only opioid
  • Cannabis was grouped with heroin and cocaine in an international convention in the early 20th century at the insistence of the US
  • The 1960s war on drugs in the US has been criticised as being about politics rather than public health. Australia followed the US lead to align politically
  • There is no evidence prohibition solves drug-related issues in society, nor reduces supply
  • The war on drugs has experienced its greatest failure in the place where it was so aggressively actioned – the US. This is evidenced by the prevalence of drug use and deaths in the US over time compared to other countries globally
  • 65% of drug arrests in Australia are cannabis-related. These are often otherwise law-abiding citizens. 

What started as a widely used and crisis-free substance was transformed into a criminal target primarily by the efforts of US politicians. From this history, it is difficult to point to a reason cannabis took the legal course it did other than politics. Many arguments for cannabis to remain illegal appear to be little more than buttresses to the politics rather than a true interest in public health. The politics should be removed from the discussion. 

The remainder of the submission will address the Terms of Reference where we see we can contribute meaningfully. 

Health education programs

The Netherlands is often held up as a model of liberal drug reform. Since the 70s, they have taken a more relaxed view to what they describe as ‘soft’ drugs, under which definition includes cannabis. This definition is distinct from ‘hard’ drugs which include opiates, cocaine and amphetamines. It has driven their approach to education. 

Essentially, they put pot in a different bucket. The outcome has been that the use rates in Netherlands are about half of Australia despite having similar cultural traits and similar alcohol habits. Anecdotally, much of the Dutch population view marijuana use the same as do many Australians do – they do not partake as it is of no interest to them but accept that others do. The two-category approach is not unprecedented in Australian culture as it is used to some extent in general classifications of alcohol – a helpful approach for educating young people about risks. 

The same approach is easily adoptable in Australia. That is, classify opiates, amphetamines, cocaine and other similar substances as hard drugs and classify alcohol, tobacco and cannabis as soft drugs. The benefits of grouping cannabis with alcohol, in particular, is that a discussion can be had with children and young people about how to enjoy them responsibly. Hard drugs are only currently dealt with in one way – outlawing and discouraging use entirely. This leaves no room for conversation about how they might be safely used as such discussion would undermine the strong message – which, in the case of addictive opiates and the other drugs in the ‘hard’ category, is the way it should be. 

Keeping cannabis in the ‘hard’ drug category means that children and young people are not provided useful information to assist them in making good decisions. The result is that they explore cannabis for themselves with advice from peers. This is undoubtedly an inferior approach to drug management when contrasted with having an open discussion about risks and controls. 

Sex education can be considered analogous. The provision of proper sex education has been found to have benefits such as reducing unplanned pregnancies and reduction of risky behaviour. Contrast this with abstinence-only sex education, which has been found generally ineffectual in achieving its goals. This is arguably a consequence of not equipping people with the skills to make reasoned decisions which results in their own, sometimes failed, experimentation. 

We recommend categorising cannabis as a soft drug. This changes the conversation and will allow it to be addressed in schools and within families. Safe use can then be encouraged through open conversations and structured education campaigns can be carried out in a similar manner to existing alcohol and sex education programs. The young person will be empowered to make considered decisions, distinct from ill-informed experimentation. 

Prevent young people from using cannabis 

As with education, treating marijuana as a soft drug means doing so also in terms of access. 

Various approaches have been adopted around the world, with Uruguay’s being possibly the most flexible. They provide their citizens with three options: growing it, joining a cannabis social club or purchasing from pharmacies. Similarly in the Netherlands, marijuana can be purchased over the counter in ‘coffee shops’ that are akin to a bar / bottle shop for alcohol. These options act in a similar way to restraining alcohol access in Australian society – by restraining the ability of children and young people from being able to purchase.

Distributing marijuana in a manner consistent with alcohol projects a message to communities that both drugs should be treated with similar levels of caution. Familiarity will assist in acceptance and understanding. Developing a set of roadblocks much beyond or different to what is in place for alcohol sends a message that it is different and will lead to confusion. Consumer behaviour in jurisdictions where cannabis is legal indicates that they view it as comparable in their purchasing habits.

This restrictive approach to purchasing will certainly not prevent all children from accessing marijuana just as it does not for alcohol. As with alcohol, provision of marijuana to minors should be addressed under the same laws with fines or, where appropriate, further punishment.

We recommend that marijuana be treated like alcohol. This will shape community perceptions and minimise cost in transitioning to a marijuana-friendly legislative environment. Distinct from the pharmacy model in Uruguay, it should be handled through bottle shops. The use of a pharmacists’ skill and cost of their time dealing with an over-the-counter product would be wasted.

Protect public health and safety 

The legalisation or decriminalisation of cannabis use is itself an act to improve public health outcomes related to cannabis use. As mentioned above, there is significant evidence that criminalisation has not achieved what it set out to do. 

There is no evidence that legalisation ‘opens the floodgates’ to use. Evidence from research examining the impact of drug use pre- and post-legalisation in the regions where it has occurred indicates that, depending on age groups, there were minor increases in reported use and minor increases in cannabis use disorders. Use increase was found in one study to be limited to those that had previously used cannabis, with no significant finding of increased use for those that had not previously used

While an increase in cannabis use disorders is not desirable, it is unclear what social controls had been put in place to prevent this to understand the efficacy of such controls. Given the relative recency of most legalisations, there is limited longitudinal data to address questions around the impact over the long term. The best example that the risk to public health is low remains the Netherlands. 

As with managing the risks for children and young people, a liberalised approach to the topic allows for more open discussion around the risks and controls. The perceptions that the likelihood of psychotic episodes or erratic behaviour through consuming cannabis are overblown. 

As with any substance (pain killers, antibiotics, gluten), some may have a more extreme reaction, but these are manageable by the individuals. Typical drivers for increased risk of psychotic episodes are potency of the product and frequency of use. The first is not manageable in the current legislative regime but would be through a legalised framework where potency can be controlled. The second, as with alcohol consumption, is manageable through education which is currently not available through the currently restrictive regime. 

We recommend that the most effective way to minimise risk to public health and safety is through a) controlling potency through legal markets and b) education addressing use and impacts. This can only be achieved through legalising cannabis use. 

Preventing criminal activity 

The solution to criminal activity related to cannabis is decriminalising or legalising. 

**Inserted here: materials data:**
<<<
Simulated powder X-ray diffraction pattern
Compound: Li3Zn3Ag
Radiation: Cu Kα (weighted mean of Kα1 and Kα2)
Structure: a cell relaxed with PBE

Peak list (12 most intense, 10 to 90 degrees two-theta, sorted by position)
2θ/deg	intensity	index
16.34	13.6	1 1 0
25.97	25.9	2 0 1
28.50	100.0	2 1 1
33.03	18.1	2 2 0
37.06	29.6	3 1 0
38.94	26.7	3 1 1
44.17	85.5	3 2 1
47.40	9.3	4 0 0
53.41	11.5	4 2 0
54.84	11.0	4 1 2
61.65	22.4	4 1 3
76.55	29.3	5 3 2

Structure:
Lattice parameters (Å, degrees): 7.6717 7.6717 7.6717 90.00 90.00 90.00
Space group P2_13 (No. 198)
One atom of each set of equivalent atoms:
Li (0.0690, 0.2187, 0.8853) x12
Zn (0.0894, 0.5894, 0.9106) x4
Zn (0.1064, 0.8936, 0.3936) x4
Zn (0.2124, 0.2124, 0.2124) x4
Ag (0.0938, 0.4062, 0.5938) x4

~~~~~

Record 1
Starting from a PBE-relaxed structure, the X-ray powder pattern of CoAgN was computed for Cu Ka.
No peak broadening, texture or thermal motion is included.

Cell and atoms:
abc: 2.792 5.093 5.324
angles: 90.00 104.73 90.00
Space group P2_1/m (No. 11)
Asymmetric unit:
Co 0.000 0.000 0.000 (multiplicity 2)
Ag 0.244 0.250 0.488 (multiplicity 2)
N 0.463 0.250 0.924 (multiplicity 2)

Principal peaks in the range 10 to 90 degrees two-theta, most intense first:
2theta  intensity
39.48  100
34.85  88
37.71  57
37.83  57
45.34  27
45.67  26
65.59  22
64.92  21


Record 2
Starting from a PBE-relaxed structure, the X-ray powder pattern of Nd2Co3 was computed for Cu Ka.
No peak broadening, texture or thermal motion is included.

Cell and atoms:
abc: 4.898 10.113 7.508
angles: 90.00 90.00 90.00
Space group Cmce (No. 64)
Asymmetric unit:
Nd 0.000 0.156 0.093 (multiplicity 8)
Co 0.000 0.000 0.500 (multiplicity 4)
Co 0.250 0.088 0.750 (multiplicity 8)

Principal peaks in the range 10 to 90 degrees two-theta, most intense first:
2theta  intensity
34.43  100
31.30  70
40.21  51
42.76  41
44.15  25
54.86  20
37.54  20
64.63  16


Record 3
Starting from a PBE-relaxed structure, the X-ray powder pattern of InGe3 was computed for Cu Ka.
No peak broadening, texture or thermal motion is included.

Cell and atoms:
abc: 4.392 4.392 4.392
angles: 90.00 90.00 90.00
Space group Pm-3m (No. 221)
Asymmetric unit:
In 0.000 0.000 0.000 (multiplicity 1)
Ge 0.000 0.500 0.500 (multiplicity 3)

Principal peaks in the range 10 to 90 degrees two-theta, most intense first:
2theta  intensity
35.40  100
41.11  49
71.21  37
59.54  32
74.90  11
89.20  5
20.22  4
28.75  4


Record 4
Starting from a PBE-relaxed structure, the X-ray powder pattern of Ti3V3Ge5 was computed for Cu Ka.
No peak broadening, texture or thermal motion is included.

Cell and atoms:
abc: 18.335 5.087 7.818
angles: 90.00 115.15 90.00
Space group C2/m (No. 12)
Asymmetric unit:
Ti 0.064 0.000 0.307 (multiplicity 4)
Ti 0.142 0.000 0.753 (multiplicity 4)
Ti 0.142 0.500 0.531 (multiplicity 4)
V 0.064 0.500 0.821 (multiplicity 4)
V 0.192 0.249 0.192 (multiplicity 8)
Ge 0.000 0.254 0.500 (multiplicity 4)
Ge 0.068 0.500 0.159 (multiplicity 4)
>>>
**Back to the text:**

Around $1.1bn is spent each year on drug enforcement nationally with 65% of drug arrests relating to often low-level cannabis offences. Even allowing that cannabis enforcement would be low cost, there is still likely a large pool of funds that could be redirected to education. Of the limited research in this area, there is no evidence that criminal activity increases under a liberalised regime.

We recommend legalising cannabis use in Victoria. This is the most effective method for preventing criminal activity. 

Health, mental health, and social impacts on families and carers

This topic is one which is better answered by those working in mental health as there are likely known measures for these purposes. An early proposal for assessing success in Canada received criticism as being too simple. This is a nuanced issue requiring a utilitarian view over the long term. Assessing any issue from a simplified or limited lens will lead to an incomplete view. 


It is remarkable that given the history of cannabis use in society, the political drivers of change in the mid-20th century, significant levels of use in Australian society, and generally positive public perception to legalising that this topic is only now being addressed. 

Regular law-abiding Australians who use cannabis in a way that is very similar to alcohol receive fines and criminal records for something relatively minor and, prior to the 20th century, socially acceptable. It is time to remove this distraction from the criminal justice system and the restraint on normal human behaviour. It is time to legalise cannabis. 

Just as we look back on alcohol prohibition, we will look back on cannabis prohibition as an unnecessary and ill-informed restraint on social freedoms that added very little to social wellbeing.

This submission was compiled by Brendan Liveris, a member of the RSA board.


Photo by Matthew Brodeur on Unsplash.


All the more reason.